Contents:
<<<
# 1
Formula: C37H58N8O3
Source: OMol25
Level of theory: ωB97M-V with the def2-TZVPD basis set

The LUMO energy comes out at 0.525 eV. The calculation puts the max |F| at 2.9 eV/Å. The SMILES is COC[C@H](C)N.COC[C@H](C)N.COC[C@H](C)N.c1ccncc1.c1ccncc1.c1ccncc1.c1ccncc1.c1ccncc1. The gap between HOMO and LUMO comes out at 0.34332 Ha.

Geometry as XYZ:
```
106
Properties=species:S:1:pos:R:3:forces:R:3
N 9.28945 10.92257 11.92817 -0.42 0.44 0.47
C 8.11495 10.32554 12.05732 -0.83 -1.86 -0.91
C 7.41284 10.13811 13.22934 1.90 1.43 1.31
C 7.99597 10.68084 14.39474 -1.46 -0.34 -0.30
C 9.18293 11.35975 14.30980 0.00 1.06 0.26
C 9.74331 11.48000 13.04911 0.22 -0.51 -0.19
H 7.70272 9.78767 11.19155 0.32 0.61 -0.05
H 6.48429 9.64744 13.26288 -0.95 -0.57 -0.07
H 7.43940 10.66426 15.32509 0.15 -0.23 0.06
H 9.56172 11.95088 15.16880 -0.07 -0.72 -0.67
H 10.64416 12.00332 12.90537 1.12 0.75 0.05
N 14.99654 8.69512 11.72043 0.71 -2.44 -0.15
C 14.90335 9.86972 11.13498 1.09 0.33 1.08
C 15.87184 10.37164 10.29806 -0.11 1.05 0.27
C 16.92254 9.59160 9.93535 0.89 -0.15 -1.05
C 17.00200 8.31250 10.42522 -1.17 -0.73 1.11
C 16.03250 7.88075 11.35154 -0.25 0.81 -0.95
H 14.22211 10.55575 11.58832 -0.93 0.26 -0.08
H 15.90613 11.43473 10.12639 -0.24 0.01 -0.65
H 17.66040 9.97053 9.23175 0.04 -0.03 0.25
H 17.76978 7.62736 10.15569 0.59 -0.28 -0.24
H 16.12477 6.82911 11.69615 -0.49 1.00 0.27
N 19.91577 18.88121 15.93759 -0.74 -0.74 0.83
C 19.42252 17.78545 15.37796 -0.51 -0.21 -0.03
C 18.73127 16.75181 16.04897 0.37 0.49 -2.47
C 18.55502 16.89438 17.37186 -0.13 -0.09 2.24
C 19.02445 18.03368 18.05102 0.14 0.55 -0.87
C 19.66928 18.98745 17.26595 0.61 -0.25 -0.34
H 19.51314 17.73646 14.31203 0.22 -0.15 -0.52
H 18.29396 15.93448 15.44244 0.41 0.49 0.61
H 18.09061 16.08054 17.90506 -0.27 0.02 0.33
H 18.87652 18.24920 19.11281 0.03 -0.41 -0.40
H 20.12777 19.87361 17.66440 -0.18 0.29 0.59
N 15.09884 12.17054 15.70916 -1.00 1.36 0.27
C 15.39555 10.98862 15.20595 -0.03 0.58 0.50
C 14.50724 10.19737 14.54140 -1.26 -0.45 0.30
C 13.16513 10.62426 14.47043 1.31 -0.34 -0.86
C 12.84044 11.85174 14.99179 -1.39 0.43 0.08
C 13.82703 12.60338 15.58320 1.19 -0.19 0.22
H 16.39821 10.69215 15.38410 0.87 -0.45 -0.10
H 14.88142 9.24420 14.21912 -0.40 -0.25 -0.52
H 12.45122 10.11356 13.85431 -0.31 -0.57 0.10
H 11.79976 12.25207 14.90667 1.10 -0.40 0.17
H 13.62308 13.60298 15.92503 -0.01 0.28 0.24
N 10.94688 15.58792 9.12178 0.34 -0.59 0.57
C 10.32952 14.75780 9.94271 -1.53 -0.01 -0.17
C 9.40905 15.17801 10.93478 0.41 -0.97 -0.91
C 9.09403 16.50102 11.08191 1.45 1.69 -0.97
C 9.80482 17.42013 10.25388 0.40 -1.85 0.64
C 10.73848 16.86225 9.36967 0.37 2.79 -0.23
H 10.43508 13.70455 9.70020 0.13 -0.06 0.39
H 8.91529 14.40405 11.48065 -0.21 -0.30 0.52
H 8.47480 16.90564 11.85868 -0.54 -0.21 0.17
H 9.78626 18.48834 10.40778 -0.24 0.02 -0.13
H 11.42432 17.57209 8.85623 -0.67 -0.55 0.05
C 12.70708 17.57634 13.73221 -0.68 -0.32 -0.26
C 12.03841 16.41893 14.50786 0.39 0.10 -0.61
C 12.44502 16.43540 15.95907 0.33 -1.09 0.95
O 13.88662 16.38167 16.03619 -1.40 0.59 -0.97
C 14.39359 16.29755 17.32002 1.86 -2.24 -0.20
N 10.59185 16.37751 14.39244 -0.52 -0.33 0.06
H 12.36018 17.44153 12.70525 0.34 0.23 -0.19
H 13.79901 17.63759 13.76937 -0.24 -0.32 0.07
H 12.30497 18.53234 14.07302 -0.02 0.06 0.15
H 12.29980 15.46400 14.03018 0.65 0.20 0.34
H 11.99664 15.53911 16.50391 0.48 0.97 -0.53
H 12.05588 17.35113 16.43941 0.18 -0.16 -0.01
H 15.49784 16.13156 17.20673 -0.81 0.56 0.10
H 14.07275 15.34802 17.76690 -0.34 0.14 0.40
H 14.21265 17.10940 17.98140 -0.40 0.97 0.41
H 10.08649 17.22119 14.60773 0.19 0.38 0.09
H 10.30740 16.06636 13.47093 0.09 0.11 0.10
C 17.67567 13.54640 12.53979 -0.03 2.37 0.64
C 16.32088 14.28354 12.63076 0.69 -0.04 0.16
C 15.15694 13.39750 12.34307 -1.62 0.77 0.01
O 14.03194 14.34507 12.08851 0.64 -1.68 0.85
C 12.83880 13.58437 12.09209 -0.74 0.57 -1.46
N 16.19744 15.12069 13.85061 -0.59 -0.85 -0.10
H 17.79322 13.21588 11.51730 0.33 -0.29 -0.15
>>>
To do:
Say how many lines of the lines further up hold the word "LUMO", as a bare number.
Written answer:
1